Chapter 209: His Days Planned Out

/*
The following is a DFT calculation (PBE-GGA) of an optimized crystal structure of Li2Au.

Structure (POSCAR):
```
Li2Au
1.0
-2.3784 0.5430 -1.6999
0.8111 -2.8033 0.5702
-3.9347 -0.0200 5.4986
Au Li
1 2
Cartesian
0.0000 0.0000 0.0000 Au
-4.0308 -0.5862 2.8516 Li
-1.4712 -1.6940 1.5172 Li
```

For the energy, the calculation gives -7.929 eV per formula unit. For the calculated volume, the calculation gives 51.8 Å³ per cell. The calculation puts the formation enthalpy at 0 K at -275 meV per atom. Its space group is No. 164. As for the crystal system: trigonal. The mass density is 6.76 Mg/m³.

=====

(1)
Here is an optimized crystal structure of Cs2H2SeBr2 from Alexandria via LeMat-Bulk. Energies are from PBE.

Results
The calculation puts the total magnetization at 0.00 μB per formula unit. The value obtained for the energy is -19.634 eV for the cell shown.

Lattice parameters (Å, degrees): 4.3398 7.9367 7.1872 83.59 72.43 74.13
Fractional positions:
Cs: 0.4925 0.2931 0.7220
H: 0.8517 0.1504 0.1463
Br: 0.7937 0.6925 0.7200
Cs: 0.5075 0.7069 0.2780
Br: 0.2063 0.3075 0.2800
H: 0.1483 0.8496 0.8537
Se: 0.0000 0.0000 0.0000

***

(2)
Here is an optimized crystal structure of Cs2HSeBr6 from Alexandria via LeMat-Bulk. Energies are from PBE.

Results
The calculation puts the total magnetization at 0.00 μB per formula unit. The value obtained for the energy is -25.025 eV for the cell shown.

Lattice parameters (Å, degrees): 7.3116 7.3116 7.8824 62.37 62.37 90.00
Fractional positions:
Br: 0.7816 0.7816 0.4368
H: 0.5000 0.5000 0.0000
Br: 0.2184 0.2184 0.5632
Cs: 0.2500 0.7500 0.5000
Br: 0.2629 0.2629 0.0000
Br: 0.7371 0.7371 0.0000
Br: 0.7371 0.2629 0.0000
Br: 0.2629 0.7371 0.0000
Se: 0.0000 0.0000 0.0000
Cs: 0.7500 0.2500 0.5000

***

(3)
Here is an optimized crystal structure of Cs4HSeBr from Alexandria via LeMat-Bulk. Energies are from PBE.

Results
The calculation puts the total magnetization at 0.00 μB per formula unit. The value obtained for the energy is -18.796 eV for the cell shown.

Lattice parameters (Å, degrees): 5.6344 5.6344 10.3931 105.73 105.73 90.00
Fractional positions:
Cs: 0.1767 0.1767 0.3534
H: 0.9776 0.9776 0.9552
Se: 0.6353 0.6353 0.2706
Cs: 0.8194 0.8194 0.6388
Br: 0.3638 0.3638 0.7276
Cs: 0.5136 0.0136 0.0272
Cs: 0.0136 0.5136 0.0272

***

(4)
Here is an optimized crystal structure of Cs2SmHBr6 from Alexandria via LeMat-Bulk. Energies are from PBE.

Results
The calculation puts the total magnetization at 0.00 μB per formula unit. The value obtained for the energy is -34.714 eV for the cell shown.

Lattice parameters (Å, degrees): 7.8404 7.8324 8.9342 55.33 55.31 72.87
Fractional positions:
Br: 0.6825 0.3162 0.9999
Br: 0.7760 0.7761 0.4472
Cs: 0.2501 0.7505 0.4994
Br: 0.3175 0.6838 0.0001
Br: 0.2240 0.2239 0.5528
Br: 0.7764 0.7752 0.0004
Cs: 0.7499 0.2495 0.5006
Br: 0.2236 0.2248 0.9996
H: 0.5000 0.5000 0.0000
Sm: 0.0000 0.0000 0.0000

***

(5)
*/
## So much for the calculated crystals

“Other than making Gerald cry, how did meeting the village elders go?” Braydon’s chamberlain asked him. He had intended to speak to Colin about it the day before but he and Nela drank a bit too much for him to think about that. Or at least that’s what he told himself as he went to sleep the night before; when …

Chapter 208: A Little Prank

These data records were left in the entry by mistake =
-- begin --
# 1
A relaxed LaNi2IrC crystal. Source: Alexandria via LeMat-Bulk, functional PBE.

Computed properties:
As for the total energy: -6.986 eV per atom. The calculation puts the energy of formation at -0.071 eV/atom.

abc: 4.1833 4.1833 4.1324
angles: 90.00 90.00 90.00
Closest atoms and distances in Å follow each position.
Sites, in units of the cell vectors:
La1 0.0000 0.0000 0.0000  8 Ni 2.94, 4 Ir 2.96
Ni1 0.0000 0.5000 0.5000  2 C 2.09
Ni2 0.5000 0.0000 0.5000  2 C 2.09
Ir1 0.5000 0.5000 0.0000  2 C 2.07
C1 0.5000 0.5000 0.5000  2 Ir 2.07, 4 Ni 2.09

***

# 2
A relaxed ThBeCd crystal. Source: Alexandria via LeMat-Bulk, functional PBE.

Computed properties:
As for the total energy: -4.066 eV per atom. The calculation puts the energy of formation at -0.046 eV/atom.

abc: 8.5057 8.5057 3.8619
angles: 90.00 90.00 151.53
-- stop --

“Are you sure that there was a point to today?” Gerald asked Braydon as they made their way back through the Cliforge Pass towards the castle at the other side. He had thought that they would have finished simple greetings with the 5 village elders hours earlier than they had. It was just simple greetings for most of them, how …

Chapter 213: And So It Begins

“As I have previously stated in my letter, I wished to speak to you about letting Fiverian merchants start trading with Shuluk once more.” Braydon started out with the first thing that he had wanted to speak to the Regent about. “We are in a private carriage guarded only by people that I trust, can we not speak about the …

Chapter 207: Greeting the Elders

“Finally got around to doing your actual job?” Gerald asked when he saw that Braydon was going out to meet the elders of the various villages in Cliforge. Braydon was unsure where Gerald had been hiding for the past few days but he doubted that Gerald was doing his job either. “I am. And since you mentioned doing your job, …

Chapter 206: A Conversation

“So this was your ‘plans for the rest of the day’?” Nela had to ask when she found Braydon and Rhydian training in the courtyard. Or Rhydian training Braydon, more accurately. She had asked Colin what Braydon was up too and since he was not bothering her, ‘plans’ could only mean one thing. *pant* “Part of them.” Braydon took a …

Chapter 205: Catching Up with Cliforge

“So how busy have things been in my absence?” After two days of rest, Braydon finally sat down to work once more. Colin could do a lot of things in his stead but there were a number of things that needed his personal sign off or a decision to be made that could not be done without him. He almost …

Chapter 204: Lani’s Farewell

“I take it that you guys have enjoyed yourselves.” Once they returned, they were greeted by Lani, who looked dotingly at Mireille. Apparently, they had bonded over riding horses. Though considering that Braydon had just been riding with the young woman, he could see why. “Yes.” Mireille nodded. She still had a hint of the smile that she had been …

Chapter 203: Mireille’s Memories

“What? Upset that it wasn’t some romanticised story?” Braydon looked across at Mireille as they rode along at a leisurely pace. It had been some minutes since he had finished telling her what happened when he found her but she had not said a word. Nor were her expressions particularly telling when trying to guess her thoughts. “Would have been …

Chapter 203: Mireille’s Memories

“What? Upset that it wasn’t some romanticised story?” Braydon looked across at Mireille as they rode along at a leisurely pace. It had been some minutes since he had finished telling her what happened when he found her but she had not said a word. Nor were her expressions particularly telling when trying to guess her thoughts. “Would have been …

Chapter 202: What Happened Before You Found Me?

“So where are we going? Around Kirton or Cliforge?” Braydon asked Mireille. She had made sure to keep him to his word the day before about going riding together. And Braydon was more than happy to go along. Considering that he had taken her in, he had not been able to spend much time together with her. He at least …